**Wanted**
Please search the data below for the word "c1C" and print each line that has it.

**Material**
/*
w:
An isolated molecule of C20H27N3O3S, computed with the ωB97M-V functional and the def2-TZVPD basis.

Each line ends with the Löwdin charge.
CARTESIAN COORDINATES (ANGSTROEM)
C 2.83686 3.15226 1.12041  -0.10
C 1.53252 3.91626 0.92451  -0.26
C 1.30856 4.37154 -0.51869  -0.19
C 1.20442 3.21342 -1.51449  -0.17
N 0.13584 2.30549 -1.17101  0.09
C 0.35496 1.05802 -0.73213  -0.40
O 1.46445 0.54878 -0.65853  0.05
C -0.88120 0.33246 -0.35947  -0.08
C -1.13282 -0.82733 0.33938  0.02
C -2.56207 -0.92051 0.30781  -0.30
N -3.07416 0.08722 -0.34697  0.14
O -2.05588 0.87470 -0.75435  0.02
C -3.38973 -2.02882 0.81249  -0.36
H -4.43405 -1.74228 0.91286  0.08
H -2.98637 -2.41659 1.74702  0.07
S -3.23489 -3.43783 -0.35951  0.96
C -3.55127 -2.65481 -1.92289  -0.54
C -4.54060 -1.69542 -2.08346  -0.11
C -4.73185 -1.11532 -3.32471  -0.08
C -3.95785 -1.49882 -4.40664  -0.09
C -2.98522 -2.47270 -4.24682  -0.09
C -2.77602 -3.04707 -3.00728  -0.11
H -2.01482 -3.79949 -2.86676  0.10
H -2.38037 -2.77951 -5.08742  0.10
H -4.11343 -1.04249 -5.37295  0.10
H -5.49614 -0.36199 -3.44439  0.10
H -5.15675 -1.39614 -1.25141  0.10
C -0.26134 -1.76002 1.11086  -0.44
O -0.71746 -2.39758 2.04479  0.06
N 1.00482 -1.83935 0.68068  0.09
H 1.34479 -1.15444 0.00951  0.10
C 2.00268 -2.61131 1.38372  -0.18
C 3.10918 -1.71790 1.94363  -0.20
C 2.57932 -0.70853 2.95947  -0.26
C 3.70820 0.10140 3.58407  -0.12
H 3.31343 0.82648 4.29210  0.07
H 4.26310 0.63563 2.81576  0.06
H 4.39896 -0.55172 4.11313  0.07
H 1.88035 -0.03200 2.46295  0.10
H 2.03033 -1.23729 3.74145  0.11
H 3.58792 -1.18338 1.11975  0.11
H 3.85981 -2.35390 2.41673  0.11
H 2.43319 -3.34467 0.69291  0.12
H 1.48985 -3.14213 2.18969  0.12
H -0.80961 2.65767 -1.18941  0.15
H 2.12578 2.62970 -1.52255  0.12
H 1.02618 3.60791 -2.51970  0.12
H 0.39149 4.96453 -0.56641  0.11
H 2.13620 5.01047 -0.83097  0.11
H 0.69660 3.28889 1.24359  0.10
H 1.53637 4.80317 1.56213  0.11
H 3.00143 2.96440 2.17847  0.07
H 2.80839 2.19337 0.60993  0.05
H 3.67789 3.72757 0.73915  0.08

Output
structure (SMILES) = CCCCNC(=O)c1onc(CSc2ccccc2)c1C(=O)NCCCC

***

x:
An isolated molecule of C20H27N3O3S, computed with the ωB97M-V functional and the def2-TZVPD basis.

Each line ends with the Löwdin charge.
CARTESIAN COORDINATES (ANGSTROEM)
C -6.59016 -1.55729 0.08340  -0.09
H -6.08102 -2.36621 0.61798  0.09
O -5.95478 -0.31997 0.29027  -0.09
C -4.66574 -0.17281 -0.12718  -0.28
C -3.90254 -1.16244 -0.73409  -0.01
C -2.59620 -0.90141 -1.11402  -0.03
C -2.02199 0.34407 -0.88476  -0.27
C -2.80181 1.34420 -0.29962  -0.02
C -4.10072 1.08895 0.07433  0.00
H -4.70881 1.85522 0.52767  0.12
H -2.37723 2.32573 -0.14585  0.11
N -0.71696 0.64240 -1.26907  0.05
C 0.31685 -0.20576 -1.54078  -0.80
N 0.50705 -1.30347 -0.77623  -0.09
C -0.05189 -1.49975 0.54855  -0.14
H -1.10789 -1.79353 0.48210  0.11
C 0.05898 -0.30384 1.50278  -0.13
C 1.43948 0.36355 1.50026  -0.17
N 1.48663 1.48441 0.57646  -0.17
C 0.94575 2.69654 1.16684  -0.16
C 0.93839 3.81474 0.12502  -0.20
O 2.22978 4.06774 -0.36278  -0.13
C 2.77556 2.89697 -0.92997  -0.20
C 2.82659 1.74962 0.07705  -0.17
H 3.19580 0.85789 -0.43094  0.10
H 3.51769 2.01326 0.89804  0.13
H 3.78095 3.15722 -1.26320  0.13
H 2.17681 2.58400 -1.79655  0.07
H 0.58431 4.74866 0.56664  0.13
H 0.27416 3.53232 -0.70775  0.11
H -0.07362 2.51047 1.51150  0.12
H 1.55261 3.02149 2.03268  0.13
H 2.19217 -0.36528 1.19730  0.11
H 1.69433 0.68896 2.52377  0.12
H -0.16272 -0.68186 2.50250  0.12
H -0.69718 0.44015 1.25992  0.08
H 0.50376 -2.33291 0.98374  0.12
C 1.42862 -2.33531 -1.23065  -0.12
C 2.68407 -2.40818 -0.42659  -0.28
C 3.04813 -3.22050 0.61030  -0.03
C 4.35210 -2.82013 0.99030  -0.06
C 4.68094 -1.79542 0.15867  -0.12
O 3.68141 -1.54204 -0.69794  0.02
H 5.56166 -1.18990 0.07854  0.12
H 4.95370 -3.23934 1.77009  0.10
H 2.47079 -4.01375 1.04097  0.11
H 0.91820 -3.30343 -1.18274  0.14
H 1.68575 -2.10274 -2.26802  0.07
S 1.30862 0.18712 -2.81191  0.70
H -0.56973 1.57298 -1.63600  0.11
H -2.03073 -1.66346 -1.62964  0.12
*/

**Reply**
structure (SMILES) = CCCCNC(=O)c1onc(CSc2ccccc2)c1C(=O)NCCCC